Sound Healings with No Sound
Last weekend I attended the Sonoma Strong Healing Fair at the Santa Rosa fairgrounds as a practitioner offering free Sound Massages. This event was free for all people but is driven to accommodate victims of the catastrophic fires we had last year in Sonoma County. The building the event was taking place in was huge and it was packed with a wide range of different practitioners who had all kinds of healing modalities. I was taking back by how many healers were there, I mean it was practically a trade show for holistic healings.
My set up in particular was not in the huge room with all the others. I was in a separate room with about 15 other booths. I was doing this event under SongBird Healing Center and not under Singing Bowl Healing. I was helping promote the healing center but still was able to pass out my brochures so it was a win/win for both parties. The room that we had our booth set up in was the same room that they were doing speech’s and presentations over a PA system. Along with that next to our table was the row of tables that all attendees stand in line to get raffle tickets. The place was very crowded with people and it was LOUD.
Excited that so many people were there but was a bit worried doing sound healings in this type of environment. However it was not new to me, I’ve done a yoga festival with a live band 30 yards away from my canopy, I’ve done farmers markets with a wide variety of loud commotions, I’ve done events in rooms with so many people laughing and talking that it made me well seasoned and trained. All these events and situations have one thing in common, you cannot hear the singing bowls.
That’s right, a Sound Healing with no sound. I’m playing the singing bowls exactly how I would in a quiet setting, I’m not changing my technique or approach. I’m playing the bowls, I cannot hear them, the client can only hear a very low faint humming barely noticeable. So why even do a sound healing if you can’t hear the sound? Because it’s still effective, it still works. If you can’t (hear) the sound, you can (feel) the sound. Vibrations are going to do their job regardless, sound waves don’t care that there’s somebody in the same room giving a speech over a live microphone. The harmonic tones are cleansing the particles around you. The sound waves especially resonate with your energy field, the Auric body. That is why people tend to feel rejuvenated and feel a deep sense of peace emotionally because the vibrations tap into your true essence.
You may ask, how do I know if these sound healings are still being effective, what’s the proof? Good question. Well, I get feed back from the client, not that I have them fill out a questionnaire or something but I just listen to what they have to say about how they are feeling and how the experience was if they choose to open up about it. I also look at the client as if I was doing a before and after body scan. I do that with everybody I work on weather it’s a a public event or in my office that’s a important note I take. And I still see the results, you can see the clients body and energy field look brighter, cleansed, lighter, calm yet energized.
Someone pasted records of crystals at this point.
********
# La4Cu5As8

A relaxed structure of La4Cu5As8 (PBE-GGA, the Materials Project database).

Properties
space group	Amm2
crystal system	orthorhombic
E_form	-0.81	eV/atom
final energy	-0.197	hartree per atom

Unit cell a=10.6283 b=10.6283 c=5.8130 alpha=90.00 beta=90.00 gamma=148.27
Closest atoms and distances in Å follow each position.
Sites, in units of the cell vectors:
La 0.6228 0.3772 0.0000  8 As 3.11-3.21, 4 Cu 3.28
La 0.1220 0.8780 0.5000  8 As 3.12-3.22, 4 Cu 3.35
La 0.8786 0.1214 0.5000  8 As 3.11-3.26, 6 Cu 3.14-3.35
La 0.3781 0.6219 0.0000  8 As 3.10-3.25, 6 Cu 3.15-3.34
Cu 0.9942 0.4951 0.2445  4 As 2.52-2.53
Cu 0.5049 0.0058 0.7555  4 As 2.52-2.53
Cu 0.5049 0.0058 0.2445  4 As 2.52-2.53
Cu 0.9942 0.4951 0.7555  4 As 2.52-2.53
Cu 0.4370 0.5630 0.5000  5 As 2.45-2.54
As 0.8250 0.1750 0.0000  4 Cu 2.53
As 0.3173 0.6827 0.5000  5 Cu 2.45-2.52
As 0.6774 0.3226 0.5000  4 Cu 2.53
As 0.1773 0.8227 0.0000  4 Cu 2.53
As 0.7638 0.7605 0.7650  1 Cu 2.54, 2 As 2.73-2.76
As 0.2395 0.2362 0.2350  1 Cu 2.54, 2 As 2.73-2.76
As 0.7638 0.7605 0.2350  1 Cu 2.54, 2 As 2.73-2.76
As 0.2395 0.2362 0.7650  1 Cu 2.54, 2 As 2.73-2.76

# LuNiB4

A relaxed structure of LuNiB4 (PBE-GGA, the Materials Project database).

Properties
space group	Pbam
crystal system	orthorhombic
E_form	-0.57	eV/atom
final energy	-0.248	hartree per atom

Unit cell a=3.3624 b=5.8395 c=11.3321 alpha=90.00 beta=90.00 gamma=90.00
Closest atoms and distances in Å follow each position.
Sites, in units of the cell vectors:
Lu 0.5000 0.6273 0.6502  14 B 2.54-2.69
Lu 0.5000 0.3727 0.3498  14 B 2.54-2.69
Lu 0.5000 0.1273 0.8498  14 B 2.54-2.69
Lu 0.5000 0.8727 0.1502  14 B 2.54-2.69
Ni 0.5000 0.6345 0.9113  10 B 2.19-2.29
Ni 0.5000 0.3655 0.0887  10 B 2.19-2.29
Ni 0.5000 0.1345 0.5887  10 B 2.19-2.29
Ni 0.5000 0.8655 0.4113  10 B 2.19-2.29
B 0.0000 0.8632 0.9673  3 B 1.72-1.79
B 0.0000 0.1368 0.0327  3 B 1.72-1.79
B 0.0000 0.3632 0.5327  3 B 1.72-1.79
B 0.0000 0.6368 0.4673  3 B 1.72-1.79
B 0.0000 0.9785 0.6920  3 B 1.72-1.80
B 0.0000 0.0215 0.3080  3 B 1.72-1.80
B 0.0000 0.4785 0.8080  3 B 1.72-1.80
B 0.0000 0.5215 0.1920  3 B 1.72-1.80
B 0.0000 0.7859 0.8147  3 B 1.79-1.80
B 0.0000 0.2141 0.1853  3 B 1.79-1.80
B 0.0000 0.2859 0.6853  3 B 1.79-1.80
B 0.0000 0.7141 0.3147  3 B 1.79-1.80
B 0.0000 0.8862 0.5477  3 B 1.71-1.72
B 0.0000 0.1138 0.4523  3 B 1.71-1.72
B 0.0000 0.3862 0.9523  3 B 1.71-1.72
B 0.0000 0.6138 0.0477  3 B 1.71-1.72

# NbSe2

A relaxed structure of NbSe2 (PBE-GGA, the Materials Project database).

Properties
space group	C222_1
crystal system	orthorhombic
E_form	-1.15	eV/atom
final energy	-0.240	hartree per atom
MP2020-corrected energy	-6.848	eV per atom

Unit cell a=3.4977 b=3.4977 c=37.7951 alpha=90.00 beta=90.00 gamma=119.96
Closest atoms and distances in Å follow each position.
Sites, in units of the cell vectors:
Nb 0.2403 0.2413 0.4145  6 Se 2.63-2.64
Nb 0.2413 0.2403 0.5855  6 Se 2.63-2.64
Nb 0.7597 0.7587 0.9145  6 Se 2.63-2.64
Nb 0.7587 0.7597 0.0855  6 Se 2.63-2.64
********
There is no question about it, if I had my choice I don’t ever want to do these sound healings in a loud environment, but it just shows and proves to me with the upmost confidence that this type of natural medicine will be a step of normality in the future.